Entries >
12 unconnected molecules or ions with the total composition C5H36N2O12. Source: the OMol25 dataset; level of theory: the ωB97M-V functional and the def2-TZVPD basis.

```
55
Properties=species:S:1:pos:R:3:forces:R:3:nbo_charge:R:1
C -1.05184 -1.36557 3.11794 -0.67 -0.70 0.96 -0.647
C -0.73311 -1.65047 1.66374 1.89 0.86 -0.84 -0.071
C 0.80886 -1.37842 1.51301 -1.03 -1.79 -0.92 -0.094
O 1.19303 -0.13481 2.07394 0.40 0.18 -0.28 -0.776
N -1.44031 -0.72062 0.77936 0.46 0.89 -0.42 -0.660
C -2.29935 -1.20242 -0.28834 -1.16 -0.68 -0.04 -0.216
C -2.42854 -0.14095 -1.40712 -0.14 -1.26 0.42 -0.228
N -3.15661 0.99799 -0.86321 -0.45 0.73 -0.43 -0.859
H -1.28242 -2.33930 3.53437 -0.93 0.00 0.47 0.218
H -0.27118 -1.04070 3.82431 0.21 0.26 -0.91 0.213
H -1.86077 -0.62438 3.14920 -0.01 -0.58 0.33 0.235
H -0.95671 -2.69220 1.33463 0.21 0.64 0.45 0.210
H 1.10673 -1.48254 0.46785 -0.19 0.60 -0.41 0.182
H 1.40328 -2.21384 1.92592 -0.23 0.74 0.77 0.207
H 0.61019 0.61974 1.90751 -0.29 -0.33 -0.18 0.514
H -0.79518 -0.03957 0.37046 -0.16 -0.29 0.16 0.344
H -1.97431 -2.16007 -0.75125 0.05 0.33 0.32 0.180
H -3.30638 -1.38574 0.17394 0.61 -0.02 -0.61 0.185
H -2.85310 -0.61968 -2.34375 0.39 0.62 0.99 0.196
H -1.38431 0.13237 -1.58685 -0.16 0.39 -0.45 0.181
H -4.15478 0.96083 -1.05168 0.00 -0.68 0.20 0.358
H -2.93676 1.85442 -1.34837 0.64 0.23 -0.11 0.370
O 0.26460 2.02873 -3.77216 -0.18 -2.45 0.41 -0.930
H 0.00035 1.30464 -4.36607 -0.24 0.85 -0.92 0.458
H 0.46904 1.37101 -3.06072 0.23 1.82 0.10 0.467
O 2.82770 -0.28150 4.14230 -0.18 0.00 -0.23 -0.976
H 2.25214 -0.32068 4.91204 0.11 -0.04 0.02 0.463
H 2.21222 -0.18547 3.38139 0.33 0.02 0.65 0.484
O 0.06211 3.18059 0.66094 -0.37 -0.25 1.26 -0.962
H -0.78233 2.78761 0.94408 0.01 0.04 -0.70 0.479
H 0.30017 3.49812 1.54933 0.27 0.27 -0.34 0.484
O -3.64264 2.27626 2.03576 0.64 0.49 0.87 -0.988
H -3.12954 1.57013 1.61901 -0.64 -0.05 -0.48 0.505
H -4.52742 2.35501 1.67962 0.14 -0.43 -0.39 0.481
O 0.00779 -1.73663 -5.00840 0.13 0.32 0.11 -0.982
H 0.30195 -1.43419 -4.12350 0.10 -0.12 -0.34 0.495
H 0.84092 -1.75212 -5.49238 -0.14 -0.07 -0.15 0.472
O 1.37203 1.77528 -1.32058 0.26 -0.89 -0.13 -0.963
H 1.66028 1.14804 -0.64988 0.13 0.35 0.19 0.461
H 1.60341 2.64559 -0.98194 -0.27 0.03 0.10 0.510
O 3.55184 -1.60823 -1.11500 1.61 0.95 -0.25 -0.986
H 3.78091 -0.80061 -0.58497 -1.06 -0.40 0.37 0.499
H 4.43314 -1.63854 -1.52856 -0.41 -0.82 -0.35 0.469
O 1.32022 -1.14096 -2.69164 -0.07 0.09 0.04 -0.989
H 1.28490 -0.30531 -2.21514 0.21 0.06 -0.04 0.478
H 2.23298 -1.46026 -2.55380 -0.35 0.10 0.34 0.521
O 3.66829 0.16518 0.88880 -0.44 -0.31 0.35 -0.959
H 3.97204 -0.44991 1.57407 0.45 0.23 -0.07 0.488
H 2.70785 0.09850 1.07177 0.33 0.42 0.00 0.484
O -0.80285 -3.47073 -2.97685 -0.22 0.06 -0.25 -0.957
H -0.69784 -3.22684 -3.91407 0.02 -0.21 0.22 0.492
H -0.72034 -2.61276 -2.55030 0.15 -0.07 0.20 0.456
O -1.04674 3.15026 3.32002 0.45 -0.18 -0.61 -0.993
H -0.66032 3.19366 4.19650 -0.52 0.16 0.17 0.485
H -1.98263 3.38635 3.29999 0.05 -0.14 0.39 0.510
```
Positions in Å, forces in eV/Å.

Computed properties:
Energy relative to the best compared isomer or geometry (same formula, charge and spin): 65.5 kcal/mol
Orbital gap: 9.2 eV
Net charge: 0
E: -33318.72236 eV
HOMO energy: -9.11 eV

C3H4O3 in the gas phase. Source: the OMol25 dataset; level of theory: the ωB97M-V functional and the def2-TZVPD basis.

```
10
Properties=species:S:1:pos:R:3:forces:R:3:nbo_charge:R:1
O -0.30616 1.49378 -1.17825 0.07 0.17 -0.10 -0.677
C 0.16517 0.22140 -1.04176 0.21 -0.14 0.05 0.304
O -0.84493 -0.84649 -0.94978 0.08 0.07 -0.07 -0.466
C -0.08401 -0.52374 0.15080 0.20 0.26 -0.02 0.394
C -0.14903 -0.41685 1.58140 -0.19 0.16 0.33 -0.126
O 0.71131 -1.36783 0.88741 0.19 -0.20 0.04 -0.469
H -0.04506 1.83422 -2.04216 -0.15 -0.04 0.09 0.484
H 1.06329 -0.01477 -1.60908 -0.28 -0.16 -0.24 0.164
H -0.94424 -0.86146 2.17124 0.01 0.01 -0.18 0.200
H 0.39044 0.41427 2.03283 -0.14 -0.14 0.09 0.191
```
Positions in Å, forces in eV/Å.

Computed properties:

To do >
It remains to find "1.19303 -0.13481" and "1.28490 -0.30531" in the calculation results further up, and transcribe these two lines and those between.

Result >
O 1.19303 -0.13481 2.07394 0.40 0.18 -0.28 -0.776
N -1.44031 -0.72062 0.77936 0.46 0.89 -0.42 -0.660
C -2.29935 -1.20242 -0.28834 -1.16 -0.68 -0.04 -0.216
C -2.42854 -0.14095 -1.40712 -0.14 -1.26 0.42 -0.228
N -3.15661 0.99799 -0.86321 -0.45 0.73 -0.43 -0.859
H -1.28242 -2.33930 3.53437 -0.93 0.00 0.47 0.218
H -0.27118 -1.04070 3.82431 0.21 0.26 -0.91 0.213
H -1.86077 -0.62438 3.14920 -0.01 -0.58 0.33 0.235
H -0.95671 -2.69220 1.33463 0.21 0.64 0.45 0.210
H 1.10673 -1.48254 0.46785 -0.19 0.60 -0.41 0.182
H 1.40328 -2.21384 1.92592 -0.23 0.74 0.77 0.207
H 0.61019 0.61974 1.90751 -0.29 -0.33 -0.18 0.514
H -0.79518 -0.03957 0.37046 -0.16 -0.29 0.16 0.344
H -1.97431 -2.16007 -0.75125 0.05 0.33 0.32 0.180
H -3.30638 -1.38574 0.17394 0.61 -0.02 -0.61 0.185
H -2.85310 -0.61968 -2.34375 0.39 0.62 0.99 0.196
H -1.38431 0.13237 -1.58685 -0.16 0.39 -0.45 0.181
H -4.15478 0.96083 -1.05168 0.00 -0.68 0.20 0.358
H -2.93676 1.85442 -1.34837 0.64 0.23 -0.11 0.370
O 0.26460 2.02873 -3.77216 -0.18 -2.45 0.41 -0.930
H 0.00035 1.30464 -4.36607 -0.24 0.85 -0.92 0.458
H 0.46904 1.37101 -3.06072 0.23 1.82 0.10 0.467
O 2.82770 -0.28150 4.14230 -0.18 0.00 -0.23 -0.976
H 2.25214 -0.32068 4.91204 0.11 -0.04 0.02 0.463
H 2.21222 -0.18547 3.38139 0.33 0.02 0.65 0.484
O 0.06211 3.18059 0.66094 -0.37 -0.25 1.26 -0.962
H -0.78233 2.78761 0.94408 0.01 0.04 -0.70 0.479
H 0.30017 3.49812 1.54933 0.27 0.27 -0.34 0.484
O -3.64264 2.27626 2.03576 0.64 0.49 0.87 -0.988
H -3.12954 1.57013 1.61901 -0.64 -0.05 -0.48 0.505
H -4.52742 2.35501 1.67962 0.14 -0.43 -0.39 0.481
O 0.00779 -1.73663 -5.00840 0.13 0.32 0.11 -0.982
H 0.30195 -1.43419 -4.12350 0.10 -0.12 -0.34 0.495
H 0.84092 -1.75212 -5.49238 -0.14 -0.07 -0.15 0.472
O 1.37203 1.77528 -1.32058 0.26 -0.89 -0.13 -0.963
H 1.66028 1.14804 -0.64988 0.13 0.35 0.19 0.461
H 1.60341 2.64559 -0.98194 -0.27 0.03 0.10 0.510
O 3.55184 -1.60823 -1.11500 1.61 0.95 -0.25 -0.986
H 3.78091 -0.80061 -0.58497 -1.06 -0.40 0.37 0.499
H 4.43314 -1.63854 -1.52856 -0.41 -0.82 -0.35 0.469
O 1.32022 -1.14096 -2.69164 -0.07 0.09 0.04 -0.989
H 1.28490 -0.30531 -2.21514 0.21 0.06 -0.04 0.478